Wanted
What is needed: count the lines further below that contain the word "Ni" and give the number alone.
Data
Starting from a crystal structure in Alexandria, relaxed with PBE, the X-ray powder pattern of ZnFeI6 was simulated for a wavelength of 1.5418 Å.
No peak broadening, texture or thermal motion is included.

Most intense lines, 2θ from 15° to 90°, by intensity:
2θ = 31.32°, rel. 100; 2θ = 25.28°, rel. 85; 2θ = 43.28°, rel. 78; 2θ = 27.52°, rel. 74; 2θ = 29.10°, rel. 67; 2θ = 15.99°, rel. 27; 2θ = 51.90°, rel. 18; 2θ = 41.99°, rel. 17; 2θ = 69.56°, rel. 17; 2θ = 56.81°, rel. 17; 2θ = 39.40°, rel. 16; 2θ = 50.93°, rel. 16

Atomic structure:
Cell lengths 7.3976, 7.3976, 7.2283 Å; angles 102.47, 102.47, 121.53 degrees
Fractional coordinates of all 8 atoms:
1 Zn 0.0000 0.0000 0.0000
2 Fe 0.5000 0.5000 0.5000
3 I 0.1265 0.4168 0.2533
4 I 0.2294 0.2294 0.7195
5 I 0.4168 0.1265 0.2533
6 I 0.5832 0.8735 0.7467
7 I 0.7706 0.7706 0.2805
8 I 0.8735 0.5832 0.7467



Starting from a crystal structure in Alexandria, relaxed with PBE, the X-ray powder pattern of Ni2Ag2Cl7 was simulated for a wavelength of 1.5418 Å.
No peak broadening, texture or thermal motion is included.

Most intense lines, 2θ from 15° to 90°, by intensity:
2θ = 22.44°, rel. 100; 2θ = 19.94°, rel. 43; 2θ = 43.77°, rel. 22; 2θ = 22.74°, rel. 16; 2θ = 41.69°, rel. 16; 2θ = 26.89°, rel. 15; 2θ = 51.25°, rel. 15; 2θ = 32.72°, rel. 14; 2θ = 24.78°, rel. 13; 2θ = 29.15°, rel. 12; 2θ = 28.95°, rel. 10; 2θ = 34.10°, rel. 10

Atomic structure:
Cell lengths 7.2211, 7.2211, 12.6404 Å; angles 104.17, 104.17, 95.50 degrees
Fractional coordinates of all 22 atoms:
1 Ni 0.1906 0.2067 0.2025
2 Ni 0.2067 0.1906 0.7025
3 Ni 0.7933 0.8094 0.2975
4 Ni 0.8094 0.7933 0.7975
5 Ag 0.2747 0.6371 0.5347
6 Ag 0.3629 0.7253 0.9653
7 Ag 0.6371 0.2747 0.0347
8 Ag 0.7253 0.3629 0.4653
9 Cl 0.0074 0.3448 0.0917
10 Cl 0.0198 0.9802 0.2500
11 Cl 0.0784 0.3973 0.6135
12 Cl 0.3448 0.0074 0.5917
13 Cl 0.3786 0.4229 0.3561
14 Cl 0.3973 0.0784 0.1135
15 Cl 0.4229 0.3786 0.8561
16 Cl 0.5771 0.6214 0.1439
17 Cl 0.6027 0.9216 0.8865
18 Cl 0.6214 0.5771 0.6439
19 Cl 0.6552 0.9926 0.4083
20 Cl 0.9216 0.6027 0.3865
21 Cl 0.9802 0.0198 0.7500
22 Cl 0.9926 0.6552 0.9083



Starting from a crystal structure in Alexandria, relaxed with PBE, the X-ray powder pattern of La5PmTl2 was simulated for a wavelength of 1.5418 Å.
No peak broadening, texture or thermal motion is included.

Most intense lines, 2θ from 15° to 90°, by intensity:
2θ = 31.44°, rel. 100; 2θ = 31.76°, rel. 62; 2θ = 56.17°, rel. 25; 2θ = 45.29°, rel. 23; 2θ = 41.20°, rel. 22; 2θ = 55.97°, rel. 20; 2θ = 35.52°, rel. 13; 2θ = 63.25°, rel. 12; 2θ = 25.94°, rel. 12; 2θ = 65.62°, rel. 12; 2θ = 18.00°, rel. 11; 2θ = 74.75°, rel. 11

Atomic structure:
Cell lengths 5.6911, 5.6911, 20.6069 Å; angles 90.00, 90.00, 120.00 degrees
Fractional coordinates of all 16 atoms:
1 La 0.0000 0.0000 0.1603
2 La 0.0000 0.0000 0.3397
3 La 0.0000 0.0000 0.6603
4 La 0.0000 0.0000 0.8397
5 La 0.3333 0.6667 0.0643
6 La 0.3333 0.6667 0.2500
7 La 0.3333 0.6667 0.4357
8 La 0.6667 0.3333 0.5643
9 La 0.6667 0.3333 0.7500
10 La 0.6667 0.3333 0.9357
11 Pm 0.3333 0.6667 0.7500
12 Pm 0.6667 0.3333 0.2500
13 Tl 0.3333 0.6667 0.5946
14 Tl 0.3333 0.6667 0.9054
15 Tl 0.6667 0.3333 0.0946
16 Tl 0.6667 0.3333 0.4054



Starting from a crystal structure in Alexandria, relaxed with PBE, the X-ray powder pattern of TiSbPd6 was simulated for a wavelength of 1.5418 Å.
No peak broadening, texture or thermal motion is included.

Most intense lines, 2θ from 15° to 90°, by intensity:
2θ = 39.08°, rel. 100; 2θ = 45.11°, rel. 33; 2θ = 79.18°, rel. 24; 2θ = 66.48°, rel. 20; 2θ = 46.10°, rel. 16; 2θ = 80.62°, rel. 12; 2θ = 83.98°, rel. 10; 2θ = 65.70°, rel. 10; 2θ = 27.56°, rel. 4; 2θ = 35.30°, rel. 2; 2θ = 63.56°, rel. 2; 2θ = 15.59°, rel. 2

Atomic structure:
Cell lengths 5.6849, 5.6849, 3.9376 Å; angles 90.00, 90.00, 90.00 degrees
Fractional coordinates of all 8 atoms:
1 Ti 0.0000 0.0000 0.0000
2 Sb 0.5000 0.5000 0.0000
3 Pd 0.0000 0.5000 0.0000
4 Pd 0.2408 0.2408 0.5000
5 Pd 0.2408 0.7592 0.5000
Worked solution
4